What is needed: say how many lines of the contents below hold the word "Asymmetric", as a bare number.
## Tl2AgPb (PBE)

Data for a geometry-optimized Tl2AgPb structure.

Cell lengths 5.6997, 5.6997, 3.5102 Å; angles 90.00, 90.00, 105.88 degrees
Closest atoms and distances in Å follow each position.
Sites, in units of the cell vectors:
Tl  0.0000  0.5000  0.0000  4 Pb 3.35, 4 Ag 3.35, 4 Tl 3.43-3.51
Tl  0.5000  0.0000  0.0000  4 Pb 3.35, 4 Ag 3.35, 4 Tl 3.43-3.51
Ag  0.0000  0.0000  0.5000  8 Tl 3.35, 2 Pb 3.43, 2 Ag 3.51
Pb  0.5000  0.5000  0.5000  8 Tl 3.35, 2 Ag 3.43, 2 Pb 3.51

Properties
Energy of formation from the pure elements, kJ/mol of formula units: 46.3
Magnetization, Bohr magnetons per cell: 0.00
Crystal system: orthorhombic
SG: Cmmm, No. 65
N(E_F), states/eV/atom: 0.373

~~~~~

Density functional theory data (GGA-PBE) for crystalline Sr2CaIrI at its relaxed geometry.

The energy comes out at -3.615 eV per atom. The total moment comes out at 0.00 Bohr magnetons per cell.

It has space group P4/mmm (No. 123), with a = 5.922 Å, b = 5.922 Å, c = 5.516 Å, α = 90.00°, β = 90.00° and γ = 90.00°. The distinct sites, in fractional coordinates, are Sr at (0.000, 0.500, 0.000), Ca at (0.000, 0.000, 0.500), Ir at (0.000, 0.000, 0.000) and I at (0.500, 0.500, 0.500).

~~~~~

{
  "formula": "P2OsRhCl",
  "functional": "GGA-PBEsol",
  "state": "optimized geometry",
  "magmom_total_mub_per_cell": 2.2,
  "total_energy_ev_per_atom": -5.48,
  "dos_ef_per_ev_fu": 2.93,
  "cell": [[4.488, 0.000, 0.000], [0.000, 4.488, 0.000], [0.000, 0.000, 4.523]],
  "species": ["Os", "Rh", "P", "P", "Cl"],
  "fractional_positions": [[0.500, 0.500, 0.500], [0.000, 0.000, 0.000], [0.000, 0.500, 0.000], [0.500, 0.000, 0.000], [0.000, 0.000, 0.500]]
}

~~~~~

An optimized crystal structure of Rb2VAu. Source: Alexandria via LeMat-Bulk, functional PBE-GGA.

Calculated values
density of states at the Fermi level = 1.61 states/eV/atom
E_tot = -2.9959 eV per atom
energy above the most stable polymorph in this dataset = 0 meV/atom
symmetry = I-42d (122)
energy of formation from the pure elements = 587 meV per atom

Cell and atoms, written as CIF:
```
data_Rb2VAu
_space_group_name_H-M_alt 'P 1'
_space_group_IT_number 1
_space_group_name_Hall 'P 1'
_cell_length_a 12.792
_cell_length_b 12.792
_cell_length_c 9.405
_cell_angle_alpha 47.15
_cell_angle_beta 47.15
_cell_angle_gamma 90.00
loop_
_atom_site_label
_atom_site_type_symbol
_atom_site_fract_x
_atom_site_fract_y
_atom_site_fract_z
Au1 Au 0.000 0.000 0.000
Au2 Au 0.750 0.250 0.500
Rb1 Rb 0.789 0.125 0.250
Rb2 Rb 0.961 0.625 0.250
Rb3 Rb 0.375 0.211 0.750
Rb4 Rb 0.875 0.039 0.750
V1 V 0.500 0.500 0.000
V2 V 0.250 0.750 0.500
```

~~~~~

A plane-wave DFT calculation with PBE was carried out for CaGdHoCd after structural relaxation.

a = 5.514 Å, b = 5.514 Å, c = 5.514 Å
α = 60.00°, β = 60.00°, γ = 60.00°
Atoms (fractional coordinates):
Ca 0.000 0.000 0.000
Gd 0.250 0.250 0.250
Ho 0.750 0.750 0.750
Cd 0.500 0.500 0.500

Values from the calculation:
Fermi-level density of states (states/eV/cell): 4.10
Crystal system: cubic
Symmetry: F-43m (216)
Total DFT energy (no corrections) (eV per atom): -5.405
Magnetization (μB per atom): 1.85

~~~~~

1.
# CaTl2IrO6

Crystalline CaTl2IrO6 at its relaxed geometry (PBE-GGA, the Alexandria database).

Cell lengths 5.746, 5.822, 10.015 Å; angles 90.00, 124.67, 90.00 degrees
Space group P2_1/c (No. 14)
Asymmetric unit:
Ca 0.000 0.000 0.000 (multiplicity 2)
Tl 0.224 0.041 0.739 (multiplicity 4)
Ir 0.500 0.000 0.500 (multiplicity 2)
O 0.172 0.184 0.447 (multiplicity 4)
O 0.250 0.729 0.425 (multiplicity 4)
O 0.394 0.063 0.278 (multiplicity 4)

2.
# CaTl2IrO8

Crystalline CaTl2IrO8 at its relaxed geometry (PBE-GGA, the Alexandria database).

Cell lengths 5.000, 5.167, 6.777 Å; angles 91.33, 91.72, 92.95 degrees
1